We long for peace: peace in the world, peace in our community and peace in our family. We have often heard that "peace begins with me" but how do we embody the peace that we seek? In the Bhagavad Gita, Krishna speaks directly about the need for peace, declaring that there is no happiness without peace. Furthermore, He lays out the path to attaining the supreme, spiritual peace that we long for.

### Next to the piece, the page also holds records of crystals
/*
1.
Calculated powder diffraction line list
Compound: K2PPd2
Radiation: Cu Kα (λ = 1.5418 Å)
Structure: a crystal structure in Alexandria, relaxed with PBE

Atomic structure:
a b c (Å): 7.7264 7.7264 6.6815
angles (deg): 110.13 110.13 47.53
Fractional positions:
K 0.1003 0.1956 0.4696
K 0.1956 0.1003 0.9696
K 0.8044 0.8997 0.0304
K 0.8997 0.8044 0.5304
P 0.3697 0.6303 0.2500
P 0.6303 0.3697 0.7500
Pd 0.3698 0.4172 0.9029
Pd 0.4172 0.3698 0.4029
Pd 0.5828 0.6302 0.5971
Pd 0.6302 0.5828 0.0971

Peak list (10 most intense, 2θ from 10° to 90°, in order of rising 2θ)
15.76°, rel. 100; 27.22°, rel. 35; 28.67°, rel. 43; 30.64°, rel. 19; 31.88°, rel. 38; 35.28°, rel. 16; 37.22°, rel. 22; 39.95°, rel. 27; 44.20°, rel. 17; 48.67°, rel. 21


2.
Calculated powder diffraction line list
Compound: K2P2PdPt
Radiation: Cu Kα (λ = 1.5418 Å)
Structure: a crystal structure in Alexandria, relaxed with PBE

Atomic structure:
a b c (Å): 8.3996 8.3996 8.3996
angles (deg): 136.79 63.10 136.34
Fractional positions:
K 0.1762 0.2425 0.4188
K 0.3238 0.7425 0.0663
K 0.6762 0.2575 0.9337
K 0.8238 0.7575 0.5812
P 0.0770 0.7413 0.8183
P 0.4230 0.2413 0.6642
P 0.5770 0.7587 0.3358
P 0.9230 0.2587 0.1817
Pd 0.2500 0.2500 0.0000
Pd 0.7500 0.7500 0.0000
Pt 0.2500 0.7500 0.5000
Pt 0.7500 0.2500 0.5000

Peak list (10 most intense, 2θ from 10° to 90°, in order of rising 2θ)
12.37°, rel. 100; 24.88°, rel. 16; 31.25°, rel. 27; 31.51°, rel. 26; 38.25°, rel. 19; 38.47°, rel. 18; 41.07°, rel. 25; 43.06°, rel. 19; 48.62°, rel. 11; 56.96°, rel. 11


3.
Calculated powder diffraction line list
Compound: K2P2PdS6
Radiation: Cu Kα (λ = 1.5418 Å)
Structure: a crystal structure in Alexandria, relaxed with PBE

Atomic structure:
a b c (Å): 15.9781 7.2805 10.3035
angles (deg): 90.00 90.00 90.00
Fractional positions:
K 0.1153 0.2500 0.0745
K 0.1832 0.2500 0.5938
K 0.3168 0.7500 0.0938
K 0.3847 0.7500 0.5745
K 0.6153 0.2500 0.4255
K 0.6832 0.2500 0.9062
K 0.8168 0.7500 0.4062
K 0.8847 0.7500 0.9255
P 0.0562 0.7500 0.2216
P 0.1666 0.7500 0.3554
P 0.3334 0.2500 0.8554
P 0.4438 0.2500 0.7216
P 0.5562 0.7500 0.2784
P 0.6666 0.7500 0.1446
P 0.8334 0.2500 0.6446
P 0.9438 0.2500 0.7784
Pd 0.0000 0.0000 0.5000
Pd 0.0000 0.5000 0.5000
Pd 0.5000 0.0000 0.0000
Pd 0.5000 0.5000 0.0000
S 0.0084 0.0150 0.7289
S 0.0084 0.4850 0.7289
S 0.0901 0.7500 0.0366
S 0.0921 0.7500 0.5292
S 0.2310 0.5171 0.3405
S 0.2310 0.9829 0.3405
S 0.2690 0.0171 0.8405
S 0.2690 0.4829 0.8405
S 0.4079 0.2500 0.0292
S 0.4099 0.2500 0.5366
S 0.4916 0.5150 0.2289
S 0.4916 0.9850 0.2289
S 0.5084 0.0150 0.7711
S 0.5084 0.4850 0.7711
S 0.5901 0.7500 0.4634
S 0.5921 0.7500 0.9708
S 0.7310 0.5171 0.1595
S 0.7310 0.9829 0.1595
S 0.7690 0.0171 0.6595
S 0.7690 0.4829 0.6595
S 0.9079 0.2500 0.4708
S 0.9099 0.2500 0.9634
S 0.9916 0.5150 0.2711
S 0.9916 0.9850 0.2711

Peak list (10 most intense, 2θ from 10° to 90°, in order of rising 2θ)
*/
### The piece goes on

We read about freedom, dream of freedom, hope for freedom, we may even fight for freedom but do we understand what freedom really is? Why is it that even when we free ourselves from one form of oppression, we simultaneously entrap ourselves in another layer of bondage? Can we ever actually be free? In the Bhagavad Gita, Krishna examines the bonds that enslave the soul and shines a light on achieving ultimate freedom.

Everyone naturally desires happiness. To be happy is part of our intrinsic nature, yet it seems that we cannot have happiness without distress. We regularly experience that there is no pleasure without pain. Any happiness that comes our way also seems fleeting, dissolving like mist as we grasp it. In the Bhagavad Gita, Krishna offers a unique perspective on happiness, illuminating the path to living a life full of deep, transcendental joy.

Love. It is the topic of endless movies, poems, books and songs. It is our highest source of happiness and the cause of our deepest misery. We long for it, pursue it, hold it tightly and mourn its passing. It is our greatest need and it is at the very essence of who we are. The Bhagavad Gita speaks of a love that never withers with the passing of time, that endures beyond death itself. In the Bhagavad Gita we uncover the secret of the greatest love of all.

What is my destiny? Is it controlled by the stars? Is it divinely ordained? Or is it simply an arbitrary course of events? Furthermore, is destiny set in stone; a fixed series of events that are inevitable and unchangeable, or do we play a role in determining our future and can we change our destiny? In the Bhagavad Gita, Krishna examines the natural laws that determine destiny and, furthermore, uncovers the keys that allow each person to break free from fate and set their personal course for freedom.

Crystal structures, as found in the file:
Computed X-ray diffraction stick pattern of SrPrZrMnO6 for copper Kα, from a cell relaxed with PBE+U.
Neutral-atom scattering factors, no anomalous dispersion.

Atomic structure:
Lattice parameters (Å, degrees): 5.748 5.748 5.748 60.00 60.00 60.00
Element x y z (fractional)
Sr: 0.000 0.000 0.000
Pr: 0.500 0.500 0.500
Zr: 0.750 0.750 0.750
Mn: 0.250 0.250 0.250
O: 0.005 0.005 0.495
O: 0.005 0.495 0.005
O: 0.005 0.495 0.495
O: 0.495 0.005 0.005
O: 0.495 0.005 0.495
O: 0.495 0.495 0.005

Top 12 peaks for 15 to 90 degrees two-theta, low angle first:
2θ (°)	I/Imax
18.91	76
21.87	17
31.12	1000
36.67	46
38.36	101
44.59	340
48.84	22
55.37	391
64.89	202
73.71	168
77.97	30
82.15	66
Back to the article:

What are you afraid of? We have so many fears, large and small. Fear of the dark, fear of failure, fear of success, fear of loss, fear of death. The crippling shadow of fear follows us through life, sometimes lurking at the edge of our consciousness, sometimes completely overwhelming us. Fear holds us back from living a full and happy life. Is there a way to live fearlessly? Like a beacon shining in a dark night, the Bhagavad Gita illuminates the path to freedom from the most dangerous fear.

What are you afraid of? We have so many fears, large and small. Fear of the dark, fear of failure, fear of success, fear of loss, fear of death. The crippling shadow of fear follows us through life, sometimes lurking at the edge of our consciousness, sometimes completely overwhelming us. Fear holds us back from living a full and happy life. Is there a way to live fearlessly? Like a beacon shining in a dark night, the Bhagavad Gita illuminates the path to freedom from the most dangerous fear.

== Inserted here: records of crystals ==
- - -
Er2Mn9Tc: simulated powder XRD pattern (Cu Kα, 1.54184 Å), based on a cell relaxed with PBE.
Neutral-atom scattering factors, no anomalous dispersion.

Cell lengths 6.468, 6.468, 8.665 Å; angles 129.02, 129.02, 46.51 degrees
Sites, in units of the cell vectors:
Er (0.084, 0.084, 0.382)
Er (0.916, 0.916, 0.618)
Mn (0.022, 0.498, 0.171)
Mn (0.389, 0.389, 0.814)
Mn (0.405, 0.405, 0.130)
Mn (0.498, 0.022, 0.171)
Mn (0.500, 0.500, 0.500)
Mn (0.502, 0.978, 0.829)
Mn (0.595, 0.595, 0.870)
Mn (0.611, 0.611, 0.186)
Mn (0.978, 0.502, 0.829)
Tc (0.000, 0.000, 0.000)

Largest 8 diffraction maxima, by intensity, 5 to 70 degrees two-theta:
d (Å)  Position (°2θ)  I/Imax
3.038  29.4  100.0
2.223  40.6  88.6
2.199  41.0  67.2
2.511  35.8  50.3
2.787  32.1  48.6
1.919  47.4  47.0
1.889  48.2  36.7
2.554  35.1  29.6

---

ErMn2Tc: simulated powder XRD pattern (Cu Kα, 1.54184 Å), based on a cell relaxed with PBE.
Neutral-atom scattering factors, no anomalous dispersion.

Cell lengths 9.125, 9.125, 9.125 Å; angles 18.68, 18.68, 18.68 degrees
Sites, in units of the cell vectors:
Er (0.000, 0.000, 0.000)
Mn (0.239, 0.239, 0.239)
Mn (0.761, 0.761, 0.761)
Tc (0.500, 0.500, 0.500)

Largest 8 diffraction maxima, by intensity, 5 to 70 degrees two-theta:
d (Å)  Position (°2θ)  I/Imax
2.396  37.5  100.0
2.039  44.4  57.7
4.482  19.8  31.0
2.241  40.2  23.1
1.481  62.7  21.7
1.406  66.5  20.9
2.520  35.6  19.7
1.856  49.1  10.9

---

Er6Mn2Te: simulated powder XRD pattern (Cu Kα, 1.54184 Å), based on a cell relaxed with PBE.
Neutral-atom scattering factors, no anomalous dispersion.

Cell lengths 8.395, 8.395, 8.395 Å; angles 111.42, 110.21, 106.82 degrees
Sites, in units of the cell vectors:
Er (0.009, 0.811, 0.198)
Er (0.234, 0.516, 0.282)
Er (0.234, 0.952, 0.718)
Er (0.282, 0.314, 0.595)
Er (0.282, 0.686, 0.968)
Er (0.387, 0.189, 0.198)
Er (0.613, 0.811, 0.802)
Er (0.718, 0.314, 0.032)
Er (0.718, 0.686, 0.405)
Er (0.766, 0.048, 0.282)
Er (0.766, 0.484, 0.718)
Er (0.991, 0.189, 0.802)
Mn (0.000, 0.111, 0.111)
Mn (0.000, 0.889, 0.889)
Mn (0.395, 0.395, 0.000)
Mn (0.605, 0.605, 0.000)
Te (0.000, 0.500, 0.500)
Te (0.500, 0.000, 0.500)

Largest 8 diffraction maxima, by intensity, 5 to 70 degrees two-theta:
d (Å)  Position (°2θ)  I/Imax
2.795  32.0  100.0
1.558  59.3  24.1
2.632  34.1  23.2
2.571  34.9  23.1
2.549  35.2  20.5
2.401  37.5  17.9
3.033  29.5  16.4
2.502  35.9  15.5

---

ErMnZn17: simulated powder XRD pattern (Cu Kα, 1.54184 Å), based on a cell relaxed with PBE.
Neutral-atom scattering factors, no anomalous dispersion.

Cell lengths 6.756, 6.756, 6.756 Å; angles 81.96, 81.96, 81.96 degrees
- - -

What are you afraid of? We have so many fears, large and small. Fear of the dark, fear of failure, fear of success, fear of loss, fear of death. The crippling shadow of fear follows us through life, sometimes lurking at the edge of our consciousness, sometimes completely overwhelming us. Fear holds us back from living a full and happy life. Is there a way to live fearlessly? Like a beacon shining in a dark night, the Bhagavad Gita illuminates the path to freedom from the most dangerous fear.